Sermon for the 12th Sunday after Trinity: The shortest letter. Preached at the Eucharist, Sherborne Abbey, on Sunday, 4 September 2022 by the Reverend Christopher Huitson. (Philemon: v 1 – 21; Luke Ch 14: v 25 – 33)
In our hymn books the hymn “All things bright and beautiful” has one less verse than in the old book. The verse that has been omitted runs like this:
“The rich man in his castle
The poor man at his gate,
God made them high or lowly,
== The piece is interrupted by molecular data ==
********
# C54H153N9O27

A 18-piece molecular cluster, C54H153N9O27 overall in a non-equilibrium geometry (ωB97M-V/def2-TZVPD, OMol25).

## Properties
Total charge: 0
HOMO in eV: -8.38
DFT total energy in eV: -127159.12072

Last column: Mulliken charge in e.
Geometry (Å):
C 6.64814 -0.22494 -3.46085  -0.99
O 5.54410 -0.19900 -2.52044  -0.34
C 4.92022 1.07253 -2.40414  -0.65
C 3.77257 0.97043 -1.40864  0.40
N 2.90594 2.11242 -1.37583  -0.03
C 1.68973 1.97625 -2.17250  1.07
C 0.97521 3.35381 -2.20964  -0.49
O 0.00864 3.50804 -3.22240  -0.28
C 0.66848 3.48021 -4.41473  -0.82
H 6.32644 0.33833 -4.34749  0.39
H 6.90963 -1.21518 -3.80300  0.30
H 7.56779 0.24558 -3.08005  0.28
H 4.47226 1.31240 -3.36904  0.27
H 5.69204 1.83483 -2.14715  0.25
H 4.14779 0.73652 -0.36800  0.27
H 3.28999 0.01514 -1.61832  -0.38
H 2.60642 2.34291 -0.43058  -0.09
H 0.96325 1.21461 -1.78015  -0.53
H 1.89209 1.61848 -3.19798  0.25
H 1.66744 4.27229 -2.20968  0.30
H 0.43197 3.33686 -1.24965  -0.21
H 1.20850 2.50624 -4.70686  0.23
H 1.52801 4.16105 -4.34040  0.39
H -0.04419 3.78588 -5.14315  0.30
C -6.04585 3.49002 -1.98344  -0.81
O -5.31091 3.30598 -0.78257  -0.41
C -3.90322 3.36919 -1.04174  -0.31
C -3.17807 2.49210 0.03905  0.06
N -3.67154 1.15294 -0.17897  0.16
C -3.08876 0.26267 0.81294  -0.04
C -3.43207 -1.20218 0.64417  0.29
O -4.78289 -1.32461 1.06987  -0.46
C -5.45497 -2.39016 0.39258  -0.11
H -6.37811 2.60692 -2.46226  0.26
H -5.46099 4.02818 -2.72173  0.36
H -6.89568 4.11936 -1.78496  0.31
H -3.57352 4.42322 -1.12094  0.34
H -3.76042 2.94880 -2.04698  0.18
H -3.46719 2.86057 1.10442  0.20
H -2.12214 2.70513 -0.01428  -0.51
H -4.67660 1.22439 -0.04623  0.35
H -3.32522 0.55682 1.83803  0.43
H -1.99029 0.28643 0.72654  -0.54
H -2.78254 -1.81037 1.23518  0.57
H -3.25636 -1.55591 -0.36373  -0.58
H -5.07042 -3.35310 0.67767  0.33
H -5.34842 -2.30660 -0.66617  -0.29
H -6.54494 -2.30433 0.49598  0.35
C -0.52525 -6.62949 1.80505  -0.80
O -0.58352 -6.65723 0.38692  -0.23
C 0.66512 -7.13454 -0.11223  -0.63
C 0.56666 -7.14028 -1.61407  0.29
N 1.84409 -7.47030 -2.31773  -0.32
C 2.73817 -6.33479 -2.49770  -0.98
C 2.32165 -5.42833 -3.55372  1.98
O 2.44577 -6.11272 -4.78598  -0.52
C 2.34478 -5.34070 -5.98203  -0.47
H 0.33011 -6.03977 2.20557  0.28
H -0.44250 -7.63715 2.18375  0.38
H -1.48631 -6.19608 2.06267  0.22
H 0.82504 -8.18972 0.19218  0.46
H 1.45567 -6.48895 0.31317  0.19
H 0.06263 -6.17107 -1.89883  -0.47
H -0.25726 -7.92937 -1.90049  0.33
H 1.70519 -7.88617 -3.22354  0.40
H 3.74449 -6.69201 -2.69150  0.39
H 2.74101 -5.86581 -1.51866  -0.08
H 3.00079 -4.52885 -3.58243  -0.11
H 1.30861 -5.02507 -3.40498  -0.86
H 3.29476 -4.90331 -6.35261  0.29
H 1.65205 -4.51695 -5.75824  0.01
H 1.97608 -6.05710 -6.68636  0.31
C -5.02314 1.26556 6.95331  -0.78
O -3.78591 0.72238 7.24829  -0.21
C -3.44058 -0.49125 6.49969  -0.52
C -1.97579 -0.79712 6.71277  -0.84
N -0.99549 -0.07229 5.95296  0.14
C -1.23312 1.39282 5.96208  -0.88
C 0.06612 2.13119 5.64737  1.21
O 0.99441 1.76645 6.75689  -0.49
********
and ordered their estate.”
Mrs. Alexander, who wrote the words of this and many other hymns, lived from 1818 – 1895 and so was a real Victorian. To her and to the people of that era it seemed that God ordered the destinies of people. The rich and the poor were not only made by God and loved by him, they were also set in a particular economic position, so they thought. No doubt the idea had its appeal; there would always be some who were poor, and the rich, if they perceived their wealth to be bestowed upon them by God, might well use it for the benefit of those in real need. And indeed that did happen. Various good works were undertaken, missionary societies were founded; churches were built where new housing had sprung up. Christians who were wealthy did some conspicuous good. But times have changed and we no longer feel that we can ascribe either the wealth of the rich or the poverty of the poor to God’s will and decision.
Various results flow from this good and bad. There is less of an appeal to people to be benefactors. Instead our day has seen the rise of crowd funding and lots of individuals giving a little each to produce a large total. People today are less ready to accept things as they are and may instead work for change either by bringing Christian insights to bear or getting involved in politics.
We can find such tensions in the New Testament. Our epistle today consists of the little letter St Paul wrote to Philemon – a gem of a letter full of personal touches and showing St. Paul diffidently refraining from giving orders but hoping for a particular result and doing all that he can to influence it. It is remarkable that this very personal note was included in the New Testament at all. You might wonder where to find it. Roughly speaking the letters of St. Paul are in order of length with Roman first and so Philemon, the shortest, last. There are, of course letters from others and the Revelation of St. John so Philemon is not the last book of the NT but it is placed last in order of St. Paul’s letters.
Philemon was a prominent Christian, very probably a member of the church at Colossae. Slavery was universal in the Roman empire and one of Philemon’s slaves was named Onesimus. He had run away from his master and possibly had taken some money or some other valuable item with him. Somehow he had come into contact with St. Paul and had become a Christian and in addition had become a helpful companion for St. Paul. Now it was time for the situation to be regularised. St. Paul hoped that Onesimus and Philemon could be reconciled and that the slave’s very serious offence of running away might be forgiven. Even better perhaps Philemon might send him back to St. Paul so that he could continue his helpful assistance.
But there was no certainty about any of this. Masters had absolute power over their slaves and running away was viewed very seriously. If Onesimus had also stolen anything then he was in serious trouble. St. Paul can only write as eloquently as possible to invoke Philemon’s agreement to be merciful.
## Inserted here: data records
<<<
The following is a quantum chemistry calculation of an isolated molecule of C4H8N2S, from OMol25.

Results
Structure (SMILES): [H]/N=C(/NC=C)SC
2S+1: 1
Gap between HOMO and LUMO in eV: 9.045
HOMO energy in eV: -8.459
LUMO level in eV: 0.587

Atoms and positions in Å:
H  -1.8378  -0.8946  -0.8653
N  -0.9736  -0.7269  -0.2602
C  0.1324  -0.1296  -0.4092
N  1.1209  0.0643  0.4927
C  1.2043  -0.6904  1.5512
C  1.5534  -0.1689  2.9215
S  0.1149  0.9893  -1.8803
C  -1.5968  0.7549  -2.3640
H  2.0269  0.5623  0.2308
H  0.9368  -1.6983  1.2751
H  1.7786  -1.0857  3.5250
H  1.8105  1.0813  3.1408
H  -2.0084  1.6803  -2.9579
H  -1.6909  -0.2925  -2.8738
H  -2.5714  0.5546  -1.5265

~~~~~

[1]
Here is C24H26MgNOPSe as an isolated structure from the OMol25 dataset. Energies are from the ωB97M-V functional and the def2-TZVPD basis.

```
55
Properties=species:S:1:pos:R:3:forces:R:3
Mg 1.348 1.762 0.654 -0.0242 0.0744 -0.0452
C -2.404 2.343 -1.835 -0.0129 0.0475 -0.0022
C -2.400 0.965 -2.434 0.0368 -0.0877 0.0006
C -3.174 0.685 -3.555 0.0086 0.0635 0.0348
C -3.195 -0.580 -4.120 -0.0042 -0.0562 -0.0289
C -2.436 -1.599 -3.565 -0.0306 -0.0124 -0.0377
C -1.660 -1.342 -2.447 0.0004 0.0341 0.0607
C -1.635 -0.072 -1.875 -0.0413 -0.0440 -0.0753
P -0.619 0.297 -0.416 0.3535 0.1390 0.0524
C 0.465 -1.176 -0.233 -0.0443 -0.0718 -0.0364
C 1.509 -1.153 -1.164 0.0063 0.0076 -0.0242
C 2.477 -2.138 -1.207 0.0007 -0.0023 -0.0339
C 2.432 -3.163 -0.275 0.0242 0.0042 -0.0087
C 1.412 -3.191 0.659 -0.0450 0.0189 0.0335
C 0.404 -2.224 0.698 0.0471 -0.0284 -0.0396
C -0.689 -2.390 1.719 -0.0389 -0.0179 0.0209
C -1.793 0.370 0.959 0.0502 0.0227 0.2243
C -3.080 -0.153 0.842 -0.0514 0.0225 0.0723
C -3.942 -0.143 1.925 0.0201 -0.0004 -0.0554
C -3.507 0.389 3.132 -0.0041 0.0111 0.0363
C -2.237 0.929 3.241 -0.0921 0.0211 -0.0283
C -1.347 0.950 2.164 -0.0996 -0.0595 -0.2117
C 0.020 1.562 2.315 0.1916 0.1041 0.0501
H -2.958 3.037 -2.466 0.0035 0.0030 0.0113
H -1.388 2.726 -1.715 -0.0030 0.0061 -0.0129
H -2.865 2.342 -0.845 -0.0127 0.0031 0.0062
H -3.767 1.479 -3.992 -0.0013 -0.0041 -0.0065
H -3.803 -0.768 -4.995 -0.0019 -0.0034 -0.0017
H -2.446 -2.591 -3.997 -0.0077 0.0042 -0.0121
H -1.068 -2.138 -2.013 0.0026 0.0107 -0.0067
H 1.557 -0.336 -1.879 0.0027 -0.0003 0.0010
H 3.261 -2.096 -1.952 0.0031 -0.0122 0.0028
H 3.186 -3.939 -0.274 0.0010 0.0002 -0.0060
H 1.377 -3.999 1.380 -0.0052 -0.0022 0.0044
H -0.520 -3.298 2.296 0.0011 -0.0082 -0.0014
H -1.667 -2.470 1.244 0.0062 0.0103 0.0118
H -0.742 -1.549 2.409 0.0035 -0.0179 0.0049
H -3.402 -0.582 -0.099 -0.0182 -0.0128 -0.0065
H -4.940 -0.551 1.833 0.0029 -0.0076 -0.0090
H -4.168 0.392 3.991 -0.0002 0.0007 -0.0027
H -1.913 1.356 4.183 -0.0029 0.0034 0.0004
H 0.509 1.105 3.188 -0.0246 -0.0429 -0.0239
H -0.132 2.604 2.637 -0.0008 -0.0232 0.0468
Se 4.921 4.742 0.457 -0.2440 -0.1479 -0.0700
C 3.402 3.880 0.118 0.2441 0.2191 -0.0259
N 2.415 3.287 -0.108 -0.1208 -0.1686 0.1088
C 4.816 0.719 -0.310 0.0207 0.0341 -0.0074
>>>
Regretfully we have no idea what was the result of St. Paul’s intervention. All returns to obscurity again after the shaft of light of St. Paul’s letter. The only slight clue we have is that Ignatius writing at the beginning of the 2nd Century wrote of someone named Onesimus who had become bishop of Ephesus during the second half of the 1st century. Was he the Onesimus of St. Paul’s letter? We don’t know.
To us slavery seems abhorrent and unchristian but it is easy to be wise with hindsight. The Christian church at the time of St. Paul was tiny and had a negligible influence on a society in which slavery was embedded. But it did have an effect at a personal level and that is where St. Paul sets out to make his influence felt. It is in the lives of 2 Christians, Philemon the Christian master and Onesimus the Christian slave that changes can take place. And when that sort of change had taken place in the lives of many people then it came to be seen that the enslavement of another human being was wrong. Then the pressure to change the law became irresistible so that the African tribes who sold their enemies into slavery found the trade no longer possible and those who transported their human cargo found the market had become unacceptable and those who had owned other human beings found that the practice was despised.
As Christians our task is clear. We need to work away at the personal level bringing reconciliation between people, helping them to live as good neighbours. As matters are put right at that level so society as a whole will change for the better and come to accept more radical changes in the ways in which people are treated.
So in a very real sense St. Pauls’ words to Philemon urging Christian treatment of his runaway slave Onesimus paved the way for the eventual abolition of slavery.
_Attached: records of molecules_
********
Here is an isolated ion of composition C14H21N2O3 and charge +1 from OMol25. Energies are from ωB97M-V/def2-TZVPD.

Summary:
SMILES ... O=[N+]([O-])c1ccc(OCC[NH+]2CCCCCC2)cc1
Net charge ... +1
HOMO level ... -12.3 eV
HOMO-LUMO gap ... 9.72 eV
Lowest unoccupied orbital energy ... -2.618 eV

The geometry in XYZ format:
```
40
Properties=species:S:1:pos:R:3:lowdin_charge:R:1
O 6.868 0.060 1.858 0.10
N 6.239 -0.725 1.187 -0.36
O 6.709 -1.606 0.507 0.10
C 4.795 -0.595 1.196 -0.14
C 4.025 -1.478 0.449 0.03
C 2.654 -1.347 0.456 0.01
C 2.054 -0.338 1.210 -0.24
O 0.680 -0.291 1.134 -0.07
C -0.029 0.679 1.881 -0.16
C -1.512 0.365 1.654 -0.07
N -1.749 0.115 0.209 -0.11
C -1.861 1.377 -0.571 -0.10
C -1.435 1.185 -2.025 -0.15
C -2.564 0.775 -2.977 -0.18
C -3.616 -0.159 -2.374 -0.19
C -3.046 -1.251 -1.468 -0.15
C -2.879 -0.822 -0.014 -0.11
C 2.828 0.541 1.957 0.00
C 4.205 0.408 1.949 0.03
H 4.513 -2.252 -0.124 0.13
H 2.033 -2.023 -0.109 0.12
H 0.196 0.603 2.950 0.15
H 0.232 1.689 1.539 0.13
H -2.146 1.178 2.007 0.15
H -1.761 -0.543 2.205 0.14
H -0.885 -0.359 -0.106 0.17
H -1.208 2.113 -0.103 0.13
H -2.887 1.739 -0.506 0.15
H -0.625 0.452 -2.060 0.12
H -1.014 2.123 -2.388 0.13
H -3.074 1.667 -3.338 0.12
H -2.110 0.296 -3.845 0.12
H -4.148 -0.630 -3.201 0.12
H -4.359 0.414 -1.817 0.11
H -3.743 -2.091 -1.458 0.13
H -2.103 -1.624 -1.868 0.13
H -3.793 -0.340 0.341 0.15
H -2.696 -1.708 0.597 0.14
H 2.382 1.326 2.547 0.11
H 4.829 1.076 2.521 0.13
```

Here is a 2-piece molecular cluster, C4H6N3 overall from OMol25. Energies are from ωB97M-V/def2-TZVPD.

Summary:
ΔE to the lowest compared entry with this formula, charge and spin ... 61.2 kcal/mol
Net charge ... +1
HOMO level ... -15.4 eV
HOMO-LUMO gap ... 10.35 eV
Lowest unoccupied orbital energy ... -5.008 eV

The geometry in XYZ format:
```
13
Properties=species:S:1:pos:R:3:lowdin_charge:R:1
C -1.310 2.036 -0.331 -0.16
C 1.648 0.406 0.950 0.06
C -0.618 -0.215 0.216 -0.16
C -0.296 -1.416 -0.548 -0.05
N -0.945 0.869 -0.403 0.15
N 2.651 0.810 1.347 0.16
N -1.701 3.142 -0.272 0.31
H -0.780 -0.300 1.290 0.13
H -1.247 -1.851 -0.878 0.12
H 0.208 -2.162 0.059 0.10
H 0.268 -1.197 -1.453 0.11
H 3.536 1.126 1.690 0.11
H -1.937 3.969 -0.781 0.13
```

~~~~~

Here is a structure of composition C37H44CoN5O2Se from the OMol25 dataset. Energies are from the ωB97M-V functional and the def2-TZVPD basis.

ORCA input file:
```
! RIJCOSX wB97M-V def2-TZVPD def2/J DEFGRID3
* xyz 0 5
Co 0.09177 0.16495 0.16466
C -0.27332 -3.80525 5.02426
C 0.26384 -2.34959 4.97237
C 0.76784 -1.91427 3.66326
C 1.94110 -2.21684 3.00455
C 3.02181 -3.15074 3.43929
C 3.36108 -4.27803 2.50437
C 1.92952 -1.60615 1.70899
N 0.66877 -1.00594 1.51477
C -0.07079 -1.24029 2.68407
C -1.43040 -1.01087 2.80500
C -2.15641 -0.90441 1.60638
C -3.52787 -1.31563 1.39396
C -4.30644 -2.16957 2.35453
C -3.44227 -3.15975 3.16200
C -3.83227 -0.90204 0.09776
C -2.75478 -0.16091 -0.41683
C -2.75365 0.64331 -1.51441
C -1.69923 1.56647 -1.63442
N -0.36850 1.31331 -1.29929
********
May our words and actions driven by our faith at a personal level have such far-reaching consequences as well.